Brief =
The reader should retype only the lines further below with the word "column" in them.

Listing =
=====
# Li17Co3O12

Li17Co3O12 after structural relaxation (PBE+U, the Materials Project database).

Lattice parameters (Å, degrees): 8.0562 6.5684 11.4310 90.00 90.29 90.00
Last column: nearest neighbours and their distance in Å.
Sites, in units of the cell vectors:
Li: 0.0525 0.0630 0.4049  4 O 1.96-2.16
Li: 0.0555 0.5000 0.4011  4 O 1.99-2.07
Li: 0.0602 0.7695 0.1842  4 O 1.90-2.00
Li: 0.0988 0.0552 0.9361  4 O 1.95-2.11
Li: 0.1203 0.2964 0.6563  4 O 1.91-2.08
Li: 0.1196 0.4995 0.9127  4 O 1.96-2.16
Li: 0.2263 0.9857 0.7423  4 O 1.98-2.09
Li: 0.2339 0.7760 0.0227  4 O 1.89-1.97
Li: 0.2623 0.9930 0.2608  4 O 1.93-2.08
Li: 0.2678 0.2750 0.4774  4 O 1.91-1.98
Li: 0.2741 0.5621 0.2612  4 O 2.00-2.11
Li: 0.3850 0.7509 0.8459  4 O 1.90-2.11
Li: 0.3907 0.0605 0.0728  4 O 1.99-2.15
Li: 0.4041 0.4899 0.0752  4 O 1.98-2.08
Li: 0.4206 0.4967 0.6040  4 O 1.99-2.16
Li: 0.4337 0.2727 0.3126  4 O 1.91-2.01
Li: 0.4405 0.0562 0.5915  4 O 2.00-2.08
Li: 0.5595 0.5562 0.4085  4 O 2.00-2.08
Li: 0.5663 0.7727 0.6874  4 O 1.91-2.01
Li: 0.5794 0.9967 0.3960  4 O 1.99-2.16
Li: 0.5959 0.9899 0.9248  4 O 1.98-2.08
Li: 0.6093 0.5605 0.9272  4 O 1.99-2.15
Li: 0.6150 0.2509 0.1541  4 O 1.90-2.11
Li: 0.7259 0.0621 0.7388  4 O 2.00-2.11
Li: 0.7322 0.7750 0.5226  4 O 1.91-1.98
Li: 0.7377 0.4930 0.7392  4 O 1.93-2.08
Li: 0.7661 0.2760 0.9773  4 O 1.89-1.97
Li: 0.7737 0.4857 0.2577  4 O 1.98-2.09
Li: 0.8797 0.7964 0.3437  4 O 1.91-2.08
Li: 0.8804 0.9995 0.0873  4 O 1.96-2.16
Li: 0.9012 0.5552 0.0639  4 O 1.95-2.11
Li: 0.9398 0.2695 0.8158  4 O 1.90-2.00
Li: 0.9445 0.0000 0.5989  4 O 1.99-2.07
Li: 0.9475 0.5630 0.5951  4 O 1.96-2.16
Co: 0.0815 0.2793 0.1647  4 O 1.92-1.97
Co: 0.2481 0.7780 0.4980  4 O 1.93-1.98
Co: 0.4129 0.2797 0.8315  4 O 1.92-2.01
Co: 0.5871 0.7797 0.1685  4 O 1.92-2.01
Co: 0.7519 0.2780 0.5020  4 O 1.93-1.98
Co: 0.9185 0.7793 0.8353  4 O 1.92-1.97
O: 0.1378 0.7799 0.3423  6 Li 1.91-2.11, 1 Co 1.98
O: 0.1479 0.0122 0.1023  5 Li 1.93-2.03, 1 Co 1.97
O: 0.1531 0.7883 0.8630  5 Li 1.90-2.00, 1 Co 1.92
O: 0.1591 0.5354 0.0971  5 Li 1.89-2.11, 1 Co 1.96
O: 0.1754 0.2551 0.8223  5 Li 1.90-2.03, 1 Co 1.92
O: 0.1795 0.5141 0.5537  5 Li 1.91-2.03, 1 Co 1.93
O: 0.1849 0.0403 0.5695  1 Co 1.97, 6 Li 1.98-2.16
O: 0.1856 0.2771 0.3203  6 Li 1.91-2.11, 1 Co 1.96
O: 0.4778 0.7717 0.0101  6 Li 1.97-2.15, 1 Co 2.01
O: 0.4838 0.0112 0.7636  6 Li 1.91-2.11, 1 Co 2.01
O: 0.4922 0.7771 0.5190  6 Li 1.93-2.16, 1 Co 1.98
O: 0.4970 0.0282 0.2328  5 Li 1.92-2.03, 1 Co 1.93
O: 0.5030 0.5282 0.7672  5 Li 1.92-2.03, 1 Co 1.93
O: 0.5078 0.2771 0.4810  6 Li 1.93-2.16, 1 Co 1.98
O: 0.5162 0.5112 0.2364  6 Li 1.91-2.11, 1 Co 2.01
O: 0.5222 0.2717 0.9899  6 Li 1.97-2.15, 1 Co 2.01
O: 0.8144 0.7771 0.6797  6 Li 1.91-2.11, 1 Co 1.96
O: 0.8151 0.5403 0.4305  1 Co 1.97, 6 Li 1.98-2.16
O: 0.8205 0.0141 0.4463  5 Li 1.91-2.03, 1 Co 1.93
O: 0.8246 0.7551 0.1777  5 Li 1.90-2.03, 1 Co 1.92
O: 0.8409 0.0354 0.9029  5 Li 1.89-2.11, 1 Co 1.96
O: 0.8469 0.2883 0.1370  5 Li 1.90-2.00, 1 Co 1.92
O: 0.8521 0.5122 0.8977  5 Li 1.93-2.03, 1 Co 1.97
O: 0.8622 0.2799 0.6577  6 Li 1.91-2.11, 1 Co 1.98

spin magnetization = 0.313 μB/atom
crystal system = monoclinic
space group = P2_1 (4)
relative energy among the computed polymorphs = 0.0036 eV/atom
energy of formation = -1.921 eV/atom

# NaMg14FeO16

NaMg14FeO16 after structural relaxation (PBE+U, the Materials Project database).

Lattice parameters (Å, degrees): 4.2906 8.5541 8.5595 90.00 90.00 90.00
Last column: nearest neighbours and their distance in Å.
Sites, in units of the cell vectors:
Na: 0.0000 0.0000 0.0000  6 O 2.15-2.31
Mg: 0.0000 0.0000 0.5000  6 O 2.02-2.19
Mg: 0.0000 0.2448 0.2518  6 O 2.10-2.18
Mg: 0.0000 0.2448 0.7482  6 O 2.10-2.18
Mg: 0.0000 0.5000 0.5000  6 O 2.09-2.18
Mg: 0.0000 0.7552 0.2518  6 O 2.10-2.18
Mg: 0.0000 0.7552 0.7482  6 O 2.10-2.18
Mg: 0.5000 0.0000 0.2474  6 O 2.12-2.16
Mg: 0.5000 0.0000 0.7526  6 O 2.12-2.16
Mg: 0.5000 0.2419 0.0000  6 O 2.07-2.21
Mg: 0.5000 0.2477 0.5000  6 O 2.12-2.16
=====

Here it is =
Last column: nearest neighbours and their distance in Å.
Last column: nearest neighbours and their distance in Å.